**Work order:**
Next, repeat all of the entries further below with every line break kept.

**Entries:**
____________
(1)
The following is a PBE-GGA calculation of LiAc2CePd6 after structural relaxation, from Alexandria via LeMat-Bulk.

a b c (Å): 9.669 9.672 6.838
angles (deg): 90.00 134.91 90.00
Space group C2/m (No. 12)
Unique sites:
1 Li 0.000 0.000 0.000
2 Ac 0.000 0.250 0.500
3 Ce 0.000 0.500 0.000
4 Pd 0.000 0.230 0.000
5 Pd 0.230 0.000 0.000
6 Pd 0.230 0.000 0.459

Values from the calculation:
crystal system: monoclinic
ΔH_f (0 K): -45.9 kJ per mole of atoms

***

(2)
The following is a PBE-GGA calculation of Cu3MoSe after structural relaxation, from Alexandria via LeMat-Bulk.

a b c (Å): 4.697 4.697 4.697
angles (deg): 90.00 90.00 90.00
Space group Pm-3m (No. 221)
Unique sites:
1 Cu 0.000 0.000 0.500
2 Mo 0.000 0.000 0.000
3 Se 0.500 0.500 0.500

Values from the calculation:
crystal system: cubic
VASP energy: -3.78 eV/atom

***

(3)
The following is a PBE-GGA calculation of BSeIN2 after structural relaxation, from Alexandria via LeMat-Bulk.

a b c (Å): 3.799 3.799 4.490
angles (deg): 90.00 90.00 90.00
Space group P4/mmm (No. 123)
Unique sites:
1 B 0.000 0.000 0.000
2 Se 0.000 0.000 0.500
3 I 0.500 0.500 0.500
4 N 0.000 0.500 0.000

Values from the calculation:
crystal system: tetragonal
VASP energy: -3.76 eV/atom

***

(4)
The following is a PBE-GGA calculation of Tb2PrThHg4 after structural relaxation, from Alexandria via LeMat-Bulk.

a b c (Å): 5.3670 5.3670 26.3318
angles (deg): 90.00 90.00 120.00
Space group R-3m (No. 166, hexagonal axes)
Unique sites:
1 Tb 0.0000 0.0000 0.2490
2 Pr 0.0000 0.0000 0.0000
3 Th 0.0000 0.0000 0.5000
4 Hg 0.0000 0.0000 0.1248
5 Hg 0.0000 0.0000 0.3751

Values from the calculation:
crystal system: trigonal
ΔH_f (0 K): -37.9 kJ per mole of atoms

***

(5)
The following is a PBE-GGA calculation of NpPa5S6 after structural relaxation, from Alexandria via LeMat-Bulk.

a b c (Å): 6.805 11.909 6.601
angles (deg): 90.00 110.59 90.00
Space group C2/m (No. 12)
Unique sites:
1 Np 0.000 0.000 0.000
2 Pa 0.000 0.167 0.500
3 Pa 0.000 0.333 0.000
4 Pa 0.000 0.500 0.500
5 S 0.249 0.000 0.751
6 S 0.249 0.166 0.248

Values from the calculation:
crystal system: monoclinic
VASP energy: -8.67 eV/atom

***

(6)
The following is a PBE-GGA calculation of ZrSiSbI2 after structural relaxation, from Alexandria via LeMat-Bulk.

a b c (Å): 5.303 5.303 5.416
angles (deg): 90.00 90.00 90.00
Space group P4/mmm (No. 123)
Unique sites:
1 Zr 0.000 0.000 0.000
2 Si 0.500 0.500 0.500
3 Sb 0.500 0.500 0.000
4 I 0.000 0.500 0.500

Values from the calculation:
crystal system: tetragonal
VASP energy: -3.57 eV/atom

***

(7)
The following is a PBE-GGA calculation of Ce3Tm5As8 after structural relaxation, from Alexandria via LeMat-Bulk.

a b c (Å): 8.2444 8.2444 20.1590
angles (deg): 90.00 90.00 120.00
Space group R-3m (No. 166, hexagonal axes)
Unique sites:
1 Ce 0.0000 0.5000 0.0000
2 Tm 0.0000 0.0000 0.0000
3 Tm 0.0000 0.0000 0.5000
4 Tm 0.0000 0.5000 0.5000
5 As 0.0000 0.0000 0.2470
6 As 0.0033 0.5017 0.7517

Values from the calculation:
crystal system: trigonal
ΔH_f (0 K): -141.9 kJ per mole of atoms

***

(8)
The following is a PBE-GGA calculation of La2ZrMoN5 after structural relaxation, from Alexandria via LeMat-Bulk.

a b c (Å): 3.474 13.784 10.784
angles (deg): 90.00 90.00 90.00
Space group Cmc2_1 (No. 36)
Unique sites:
1 La 0.000 0.111 0.000
2 La 0.000 0.147 0.613
3 Zr 0.000 0.215 0.324
4 Mo 0.000 0.473 0.769
5 N 0.000 0.045 0.350
6 N 0.000 0.282 0.966
7 N 0.000 0.320 0.698
8 N 0.000 0.371 0.315
9 N 0.000 0.491 0.104

Values from the calculation:
crystal system: orthorhombic
VASP energy: -9.04 eV/atom

***

(9)
The following is a PBE-GGA calculation of ZrCd3Ni after structural relaxation, from Alexandria via LeMat-Bulk.

a b c (Å): 4.803 4.803 4.803
angles (deg): 90.00 90.00 90.00
Space group Pm-3m (No. 221)
Unique sites:
1 Zr 0.000 0.000 0.000
2 Cd 0.000 0.500 0.500
3 Ni 0.500 0.500 0.500

Values from the calculation:
crystal system: cubic
ΔH_f (0 K): 36.3 kJ per mole of atoms

***

(10)
____________

**Response:**
(1)
The following is a PBE-GGA calculation of LiAc2CePd6 after structural relaxation, from Alexandria via LeMat-Bulk.

a b c (Å): 9.669 9.672 6.838
angles (deg): 90.00 134.91 90.00
Space group C2/m (No. 12)
Unique sites:
1 Li 0.000 0.000 0.000
2 Ac 0.000 0.250 0.500
3 Ce 0.000 0.500 0.000
4 Pd 0.000 0.230 0.000
5 Pd 0.230 0.000 0.000
6 Pd 0.230 0.000 0.459

Values from the calculation:
crystal system: monoclinic
ΔH_f (0 K): -45.9 kJ per mole of atoms

***

(2)
The following is a PBE-GGA calculation of Cu3MoSe after structural relaxation, from Alexandria via LeMat-Bulk.

a b c (Å): 4.697 4.697 4.697
angles (deg): 90.00 90.00 90.00
Space group Pm-3m (No. 221)
Unique sites:
1 Cu 0.000 0.000 0.500
2 Mo 0.000 0.000 0.000
3 Se 0.500 0.500 0.500

Values from the calculation:
crystal system: cubic
VASP energy: -3.78 eV/atom

***

(3)
The following is a PBE-GGA calculation of BSeIN2 after structural relaxation, from Alexandria via LeMat-Bulk.

a b c (Å): 3.799 3.799 4.490
angles (deg): 90.00 90.00 90.00
Space group P4/mmm (No. 123)
Unique sites:
1 B 0.000 0.000 0.000
2 Se 0.000 0.000 0.500
3 I 0.500 0.500 0.500
4 N 0.000 0.500 0.000

Values from the calculation:
crystal system: tetragonal
VASP energy: -3.76 eV/atom

***

(4)
The following is a PBE-GGA calculation of Tb2PrThHg4 after structural relaxation, from Alexandria via LeMat-Bulk.

a b c (Å): 5.3670 5.3670 26.3318
angles (deg): 90.00 90.00 120.00
Space group R-3m (No. 166, hexagonal axes)
Unique sites:
1 Tb 0.0000 0.0000 0.2490
2 Pr 0.0000 0.0000 0.0000
3 Th 0.0000 0.0000 0.5000
4 Hg 0.0000 0.0000 0.1248
5 Hg 0.0000 0.0000 0.3751

Values from the calculation:
crystal system: trigonal
ΔH_f (0 K): -37.9 kJ per mole of atoms

***

(5)
The following is a PBE-GGA calculation of NpPa5S6 after structural relaxation, from Alexandria via LeMat-Bulk.

a b c (Å): 6.805 11.909 6.601
angles (deg): 90.00 110.59 90.00
Space group C2/m (No. 12)
Unique sites:
1 Np 0.000 0.000 0.000
2 Pa 0.000 0.167 0.500
3 Pa 0.000 0.333 0.000
4 Pa 0.000 0.500 0.500
5 S 0.249 0.000 0.751
6 S 0.249 0.166 0.248

Values from the calculation:
crystal system: monoclinic
VASP energy: -8.67 eV/atom

***

(6)
The following is a PBE-GGA calculation of ZrSiSbI2 after structural relaxation, from Alexandria via LeMat-Bulk.

a b c (Å): 5.303 5.303 5.416
angles (deg): 90.00 90.00 90.00
Space group P4/mmm (No. 123)
Unique sites:
1 Zr 0.000 0.000 0.000
2 Si 0.500 0.500 0.500
3 Sb 0.500 0.500 0.000
4 I 0.000 0.500 0.500

Values from the calculation:
crystal system: tetragonal
VASP energy: -3.57 eV/atom

***

(7)
The following is a PBE-GGA calculation of Ce3Tm5As8 after structural relaxation, from Alexandria via LeMat-Bulk.

a b c (Å): 8.2444 8.2444 20.1590
angles (deg): 90.00 90.00 120.00
Space group R-3m (No. 166, hexagonal axes)
Unique sites:
1 Ce 0.0000 0.5000 0.0000
2 Tm 0.0000 0.0000 0.0000
3 Tm 0.0000 0.0000 0.5000
4 Tm 0.0000 0.5000 0.5000
5 As 0.0000 0.0000 0.2470
6 As 0.0033 0.5017 0.7517

Values from the calculation:
crystal system: trigonal
ΔH_f (0 K): -141.9 kJ per mole of atoms

***

(8)
The following is a PBE-GGA calculation of La2ZrMoN5 after structural relaxation, from Alexandria via LeMat-Bulk.

a b c (Å): 3.474 13.784 10.784
angles (deg): 90.00 90.00 90.00
Space group Cmc2_1 (No. 36)
Unique sites:
1 La 0.000 0.111 0.000
2 La 0.000 0.147 0.613
3 Zr 0.000 0.215 0.324
4 Mo 0.000 0.473 0.769
5 N 0.000 0.045 0.350
6 N 0.000 0.282 0.966
7 N 0.000 0.320 0.698
8 N 0.000 0.371 0.315
9 N 0.000 0.491 0.104

Values from the calculation:
crystal system: orthorhombic
VASP energy: -9.04 eV/atom

***

(9)
The following is a PBE-GGA calculation of ZrCd3Ni after structural relaxation, from Alexandria via LeMat-Bulk.

a b c (Å): 4.803 4.803 4.803
angles (deg): 90.00 90.00 90.00
Space group Pm-3m (No. 221)
Unique sites:
1 Zr 0.000 0.000 0.000
2 Cd 0.000 0.500 0.500
3 Ni 0.500 0.500 0.500

Values from the calculation:
crystal system: cubic
ΔH_f (0 K): 36.3 kJ per mole of atoms

***

(10)